_Input_
+++
No. 1
{
  "formula": "C23H32GeNO4Rh",
  "method": "wB97M-V/def2-TZVPD",
  "homo_energy_ev": [-7.32, -7.51],
  "multiplicity": 5,
  "e_above_lowest_kj_mol": 169.3,
  "s_squared": 6.020,
  "homo_lumo_gap_ev": [7.00, 3.53],
  "elements": ["Rh", "C", "C", "C", "C", "C", "C", "C", "C", "C", "C", "C", "C", "H", "H", "H", "H", "H", "H", "H", "H", "H", "H", "H", "H", "H", "H", "H", "H", "H", "H", "O", "C", "O", "C", "C", "C", "N", "C", "C", "C", "O", "O", "H", "H", "H", "C", "Ge", "C", "C", "C", "H", "H", "H", "H", "H", "H", "H", "H", "H", "H", "H"],
  "coordinates": [[-0.291406, 1.136239, -0.443971], [-0.830269, 0.126312, 3.055984], [-1.592595, 0.584529, 1.835537], [-1.707238, 1.958951, 1.542433], [-1.212687, 2.992443, 2.520828], [-2.359357, 2.380820, 0.358936], [-2.485017, 3.850148, 0.066472], [-2.884266, 1.422014, -0.531157], [-3.681791, 1.868002, -1.733656], [-2.753785, 0.050326, -0.235427], [-3.260950, -0.991325, -1.200755], [-2.193993, -0.360460, 0.989466], [-2.277262, -1.807660, 1.396753], [-0.031339, 0.823150, 3.297224], [-0.376428, -0.848241, 2.885081], [-1.484836, 0.043934, 3.927208], [-0.236052, 3.382778, 2.223600], [-1.133054, 2.580632, 3.522499], [-1.905173, 3.830410, 2.558511], [-1.612610, 4.390977, 0.422295], [-3.378179, 4.249819, 0.555886], [-2.556724, 4.037445, -1.000730], [-3.039525, 2.090672, -2.588582], [-4.243738, 2.768047, -1.497583], [-4.395934, 1.106130, -2.032093], [-2.670122, -1.902720, -1.130307], [-3.204199, -0.638300, -2.227435], [-4.302125, -1.246352, -0.986295], [-1.473469, -2.401110, 0.954103], [-3.224845, -2.234978, 1.073021], [-2.223116, -1.913067, 2.477126], [6.692601, 2.752045, -0.601012], [6.316905, 1.578887, -0.583263], [6.863380, 0.469277, -0.540918], [4.701498, 1.447636, -0.641173], [4.127743, 0.186829, -0.715627], [2.751828, 0.083962, -0.713810], [1.959521, 1.161199, -0.638086], [2.514644, 2.376279, -0.590541], [3.886118, 2.567486, -0.592341], [1.536435, 3.555137, -0.562935], [1.967845, 4.683805, -0.482506], [0.294054, 3.207380, -0.643631], [4.756322, -0.691430, -0.765528], [2.254731, -0.875313, -0.772486], [4.292600, 3.567308, -0.548881], [0.850685, -3.882089, -2.595894], [0.828439, -3.466350, -0.677472], [-0.289837, -4.760835, 0.319237], [2.627280, -3.571365, 0.122248], [0.151249, -1.665777, -0.474039], [1.213835, -4.896855, -2.754669], [1.512277, -3.193465, -3.121837], [-0.147292, -3.800964, -3.027776], [0.151174, -5.748622, 0.184859], [-1.318777, -4.789579, -0.039665], [-0.290886, -4.530007, 1.384934], [2.831741, -4.597679, 0.426224], [2.703361, -2.932823, 1.002919], [3.395304, -3.265632, -0.587860], [0.199546, -1.163170, 0.488105], [-0.312214, -1.134855, -1.311532]],
+++

_Assignment_
Filter the calculation results further above: keep the lines with the word "C23H32GeNO4Rh".

_Here it is_
  "formula": "C23H32GeNO4Rh",